Type out everything below word for word.
/*
(1)
SrHg5 | SCAN | PBEsol geometry

## Properties
For the electronic total energy, the calculation gives -60.878 eV per atom. Its energy above the most stable polymorph in this dataset is 0.116 eV/f.u. The calculation puts the energy relative to the elements at -361 meV per atom.

Cell and atoms, written as POSCAR:
```
SrHg5
1.0
-2.677 4.251 1.272
-1.623 -2.495 4.923
4.839 3.105 -0.193
Hg Sr
5 1
direct
0.000 0.358 0.358
0.000 0.642 0.000
0.000 0.000 0.642
0.500 0.667 0.333
0.500 0.333 0.667
0.500 0.000 0.000
```

(2)
Sr5Hg | SCAN | PBEsol geometry

## Properties
For the electronic total energy, the calculation gives -30.135 eV per atom. The calculation puts the energy relative to the elements at -212 meV per atom.

Cell and atoms, written as POSCAR:
```
Sr5Hg
1.0
-0.180 -2.986 -2.799
3.760 -5.645 2.791
-6.049 -6.550 4.385
Sr Hg
5 1
direct
0.028 0.500 0.444
0.359 0.055 0.228
0.697 0.945 0.661
0.655 0.617 0.072
0.400 0.383 0.817
0.028 0.000 0.945
```

(3)
SrHg2 | SCAN | PBEsol geometry

## Properties
For the electronic total energy, the calculation gives -53.469 eV per atom. The calculation puts the energy relative to the elements at -600 meV per atom.

Cell and atoms, written as POSCAR:
```
SrHg2
1.0
3.997 0.000 0.000
0.000 3.997 0.000
-1.998 -1.998 5.038
Hg Sr
2 1
direct
0.674 0.674 0.349
0.326 0.326 0.651
0.000 0.000 0.000
```

(4)
SrHg3 | SCAN | PBEsol geometry

## Properties
For the electronic total energy, the calculation gives -57.229 eV per atom. The calculation puts the energy relative to the elements at -536 meV per atom.

Cell and atoms, written as POSCAR:
```
SrHg3
1.0
-2.824 -3.094 2.877
4.714 -4.928 -0.674
0.414 4.451 5.195
Sr Hg
2 6
direct
0.250 0.667 0.333
0.750 0.333 0.667
0.750 0.310 0.155
0.250 0.155 0.845
0.750 0.845 0.155
0.250 0.690 0.845
0.250 0.155 0.310
0.750 0.845 0.690
```

(5)
SrHg3 | SCAN | PBEsol geometry

## Properties
For the electronic total energy, the calculation gives -57.219 eV per atom. The calculation puts the energy relative to the elements at -526 meV per atom.

Cell and atoms, written as POSCAR:
```
SrHg3
1.0
5.263 0.000 0.000
0.000 5.728 0.000
0.000 0.000 6.770
Hg Sr
6 2
direct
0.000 0.656 0.251
0.000 0.198 0.500
0.500 0.344 0.249
0.500 0.344 0.751
0.000 0.656 0.749
0.500 0.802 0.000
0.500 0.853 0.500
0.000 0.147 0.000
```

(6)
Sr2Hg3 | SCAN | PBEsol geometry

## Properties
For the electronic total energy, the calculation gives -50.421 eV per atom. The calculation puts the energy relative to the elements at -611 meV per atom.

Cell and atoms, written as POSCAR:
```
Sr2Hg3
1.0
-1.417 -2.178 -4.239
3.107 -0.148 -3.879
3.164 -6.981 -0.386
Hg Sr
3 2
direct
0.000 0.000 0.000
0.166 0.166 0.501
0.834 0.834 0.499
0.412 0.412 0.764
0.588 0.588 0.236
```

Question: The highest electronic total energy belongs to which entry?
Answer: Sr5Hg

Question: Among the records above, which one has the highest energy relative to the elements?
Answer: Sr5Hg

Question: What is the energy relative to the elements in the fourth record?
Answer: -536 meV per atom

Question: What is the energy relative to the elements in the fourth record?
Answer: -536 meV per atom
*/
(1)
SrHg5 | SCAN | PBEsol geometry

## Properties
For the electronic total energy, the calculation gives -60.878 eV per atom. Its energy above the most stable polymorph in this dataset is 0.116 eV/f.u. The calculation puts the energy relative to the elements at -361 meV per atom.

Cell and atoms, written as POSCAR:
```
SrHg5
1.0
-2.677 4.251 1.272
-1.623 -2.495 4.923
4.839 3.105 -0.193
Hg Sr
5 1
direct
0.000 0.358 0.358
0.000 0.642 0.000
0.000 0.000 0.642
0.500 0.667 0.333
0.500 0.333 0.667
0.500 0.000 0.000
```

(2)
Sr5Hg | SCAN | PBEsol geometry

## Properties
For the electronic total energy, the calculation gives -30.135 eV per atom. The calculation puts the energy relative to the elements at -212 meV per atom.

Cell and atoms, written as POSCAR:
```
Sr5Hg
1.0
-0.180 -2.986 -2.799
3.760 -5.645 2.791
-6.049 -6.550 4.385
Sr Hg
5 1
direct
0.028 0.500 0.444
0.359 0.055 0.228
0.697 0.945 0.661
0.655 0.617 0.072
0.400 0.383 0.817
0.028 0.000 0.945
```

(3)
SrHg2 | SCAN | PBEsol geometry

## Properties
For the electronic total energy, the calculation gives -53.469 eV per atom. The calculation puts the energy relative to the elements at -600 meV per atom.

Cell and atoms, written as POSCAR:
```
SrHg2
1.0
3.997 0.000 0.000
0.000 3.997 0.000
-1.998 -1.998 5.038
Hg Sr
2 1
direct
0.674 0.674 0.349
0.326 0.326 0.651
0.000 0.000 0.000
```

(4)
SrHg3 | SCAN | PBEsol geometry

## Properties
For the electronic total energy, the calculation gives -57.229 eV per atom. The calculation puts the energy relative to the elements at -536 meV per atom.

Cell and atoms, written as POSCAR:
```
SrHg3
1.0
-2.824 -3.094 2.877
4.714 -4.928 -0.674
0.414 4.451 5.195
Sr Hg
2 6
direct
0.250 0.667 0.333
0.750 0.333 0.667
0.750 0.310 0.155
0.250 0.155 0.845
0.750 0.845 0.155
0.250 0.690 0.845
0.250 0.155 0.310
0.750 0.845 0.690
```

(5)
SrHg3 | SCAN | PBEsol geometry

## Properties
For the electronic total energy, the calculation gives -57.219 eV per atom. The calculation puts the energy relative to the elements at -526 meV per atom.

Cell and atoms, written as POSCAR:
```
SrHg3
1.0
5.263 0.000 0.000
0.000 5.728 0.000
0.000 0.000 6.770
Hg Sr
6 2
direct
0.000 0.656 0.251
0.000 0.198 0.500
0.500 0.344 0.249
0.500 0.344 0.751
0.000 0.656 0.749
0.500 0.802 0.000
0.500 0.853 0.500
0.000 0.147 0.000
```

(6)
Sr2Hg3 | SCAN | PBEsol geometry

## Properties
For the electronic total energy, the calculation gives -50.421 eV per atom. The calculation puts the energy relative to the elements at -611 meV per atom.

Cell and atoms, written as POSCAR:
```
Sr2Hg3
1.0
-1.417 -2.178 -4.239
3.107 -0.148 -3.879
3.164 -6.981 -0.386
Hg Sr
3 2
direct
0.000 0.000 0.000
0.166 0.166 0.501
0.834 0.834 0.499
0.412 0.412 0.764
0.588 0.588 0.236
```

Question: The highest electronic total energy belongs to which entry?
Answer: Sr5Hg

Question: Among the records above, which one has the highest energy relative to the elements?
Answer: Sr5Hg

Question: What is the energy relative to the elements in the fourth record?
Answer: -536 meV per atom

Question: What is the energy relative to the elements in the fourth record?
Answer: -536 meV per atom